Job >
Next, search the material further down for the word "this" and echo each line that has it.

Contents >
********
Record 1
Entry from Alexandria via LeMat-Bulk: a relaxed Hf2AlH crystal (PBE-GGA).

Lattice parameters (Å, degrees): 4.5613 4.5613 4.5613 60.00 60.00 60.00
Sites, in units of the cell vectors:
1 Hf 0.2500 0.2500 0.2500
2 Hf 0.7500 0.7500 0.7500
3 Al 0.0000 0.0000 0.0000
4 H 0.5000 0.5000 0.5000

## Properties
energy above the most stable polymorph in this dataset: 544 meV per atom

Record 2
Entry from Alexandria via LeMat-Bulk: a relaxed Hf2AlH crystal (PBE-GGA).

Lattice parameters (Å, degrees): 5.5190 5.5190 5.5190 108.42 108.42 111.60
Sites, in units of the cell vectors:
1 Hf 0.0440 0.1250 0.4190
2 Hf 0.3750 0.9560 0.0810
3 Hf 0.7060 0.6250 0.5810
4 Hf 0.8750 0.2940 0.9190
5 Al 0.2500 0.7500 0.5000
6 Al 0.5000 0.5000 0.0000
7 H 0.0000 0.0000 0.0000
8 H 0.7500 0.2500 0.5000

## Properties
energy above the most stable polymorph in this dataset: 140 meV per atom

Record 3
Entry from Alexandria via LeMat-Bulk: a relaxed Hf3Al2H crystal (PBE-GGA).

Lattice parameters (Å, degrees): 5.4474 5.4474 6.8257 95.64 95.64 90.02
Sites, in units of the cell vectors:
1 Hf 0.1375 0.8625 0.7500
2 Hf 0.2556 0.3928 0.0138
3 Hf 0.3928 0.2556 0.5138
4 Hf 0.6072 0.7444 0.4862
5 Hf 0.7444 0.6072 0.9862
6 Hf 0.8625 0.1375 0.2500
7 Al 0.0812 0.6431 0.3552
8 Al 0.3569 0.9188 0.1448
9 Al 0.6431 0.0812 0.8552
10 Al 0.9188 0.3569 0.6448
11 H 0.4237 0.5763 0.7500
12 H 0.5763 0.4237 0.2500

## Properties
total DFT energy (no corrections): -0.2613 Ha/atom

Record 4
Entry from Alexandria via LeMat-Bulk: a relaxed Hf2Al2H crystal (PBE-GGA).

Lattice parameters (Å, degrees): 5.8868 5.8868 4.8869 90.00 90.00 90.00
Sites, in units of the cell vectors:
1 Hf 0.1685 0.3315 0.0000
2 Hf 0.3315 0.8315 0.0000
3 Hf 0.6685 0.1685 0.0000
4 Hf 0.8315 0.6685 0.0000
5 Al 0.1585 0.6585 0.5000
6 Al 0.3415 0.1585 0.5000
7 Al 0.6585 0.8415 0.5000
8 Al 0.8415 0.3415 0.5000
9 H 0.0000 0.0000 0.0000
10 H 0.5000 0.5000 0.0000

## Properties
total DFT energy (no corrections): -0.2310 Ha/atom

Record 5
Entry from Alexandria via LeMat-Bulk: a relaxed HfAl2H crystal (PBE-GGA).

Lattice parameters (Å, degrees): 4.5580 4.5580 4.5580 60.00 60.00 60.00
Sites, in units of the cell vectors:
1 Hf 0.0000 0.0000 0.0000
2 Al 0.2500 0.2500 0.2500
3 Al 0.7500 0.7500 0.7500
4 H 0.5000 0.5000 0.5000

## Properties
energy above the most stable polymorph in this dataset: 642 meV per atom

Record 6
Entry from Alexandria via LeMat-Bulk: a relaxed Hf5Al2H crystal (PBE-GGA).

Lattice parameters (Å, degrees): 5.9599 5.9599 5.9599 117.10 117.10 95.09
Sites, in units of the cell vectors:
1 Hf 0.0000 0.0000 0.0000
2 Hf 0.0063 0.0063 0.5055
3 Hf 0.0063 0.5008 0.0000
4 Hf 0.5008 0.0063 0.0000
5 Hf 0.5008 0.5008 0.4945
6 Al 0.0042 0.5042 0.5000
7 Al 0.5042 0.0042 0.5000
8 H 0.7391 0.7391 0.0000

## Properties
total DFT energy (no corrections): -0.2805 Ha/atom

How do the records compare in theoretical density? In the order shown, they have 9.53, 9.89, 9.78, 8.08, 5.79, 10.11 g/cm³.
********

Reply >
energy above the most stable polymorph in this dataset: 544 meV per atom
energy above the most stable polymorph in this dataset: 140 meV per atom
energy above the most stable polymorph in this dataset: 642 meV per atom